Understanding Privilege
“Justice will not be served until those who are unaffected are as outraged as those who are.” – Benjamin Franklin
White protesters march in solidarity with their black community in Minneapolis, Minnesota to bring justice to the death of George Floyd.
“I don’t care about white privilege because it doesn’t affect me in my daily life.” A quote from a white person.
I hope that person now understands that just by saying that, they are exhibiting the privilege which they have. If they do not understand, here is a rundown on privilege.
America was founded by white immigrants from Europe. Ever since the birth of this country, white people have been primarily in control of almost anything you can imagine. Things have changed since then, however–people of color are seen in more fields of work than ever before. But in general, white people still have the high ground.
White people have never had to worry about the things that black people do. From a young age, black children learn how to behave in the public eye so they don’t get killed. They learn to act as if there is a target on their backs at all times. Always comply with cops if they pull you over. Never reach for something that the cop can’t identify. Don’t talk back.
**Unrelated to this text: materials data:**
-- begin --
1.
Entry from Materials Project: a relaxed Ba3LaY2Cu6O14 crystal (PBE).

## Properties
For the energy of formation, the calculation gives -2.278 eV/atom. Its density is 6.324 g/cm3. The total DFT energy (no corrections) is -6.428 eV per atom.

Cell: 7.638 7.870 23.307 Å, 90.00 90.00 90.00°
Space group Fmm2 (No. 42)
Asymmetric unit:
Ba: 0.000 0.000 0.000 x4
Ba: 0.000 0.000 0.185 x4
Ba: 0.000 0.000 0.502 x4
La: 0.000 0.000 0.683 x4
Y: 0.000 0.000 0.342 x4
Y: 0.000 0.000 0.841 x4
Cu: 0.250 0.250 0.094 x8
Cu: 0.250 0.250 0.270 x8
Cu: 0.250 0.250 0.414 x8
O: 0.000 0.245 0.778 x8
O: 0.000 0.249 0.401 x8
O: 0.214 0.000 0.601 x8
O: 0.247 0.000 0.778 x8
O: 0.250 0.000 0.403 x8
O: 0.250 0.250 0.014 x8
O: 0.250 0.250 0.175 x8

2.
Entry from Materials Project: a relaxed BaAlSi5N7O2 crystal (PBE).

## Properties
For the energy of formation, the calculation gives -0.917 eV/atom. Its density is 3.590 g/cm3. The total DFT energy (no corrections) is -7.146 eV per atom.

Cell: 6.448 6.792 9.494 Å, 90.00 104.63 90.00°
Space group Pc (No. 7)
Asymmetric unit:
Ba: 0.000 0.168 0.000 x2
Al: 0.814 0.463 0.680 x2
Si: 0.275 0.313 0.368 x2
Si: 0.336 0.334 0.733 x2
Si: 0.389 0.047 0.866 x2
Si: 0.626 0.288 0.342 x2
Si: 0.663 0.007 0.164 x2
N: 0.136 0.494 0.767 x2
N: 0.299 0.236 0.554 x2
N: 0.400 0.032 0.549 x2
N: 0.635 0.010 0.342 x2
N: 0.715 0.265 0.175 x2
N: 0.795 0.328 0.514 x2
N: 0.841 0.170 0.634 x2
O: 0.173 0.097 0.291 x2
O: 0.597 0.428 0.785 x2

3.
Entry from Materials Project: a relaxed Eu2GeS4 crystal (PBE).

## Properties
For the energy of formation, the calculation gives -1.659 eV/atom. Its density is 4.756 g/cm3. The total DFT energy (no corrections) is -7.327 eV per atom.

Cell: 6.705 6.859 8.048 Å, 90.00 107.77 90.00°
Space group P2_1 (No. 4)
Asymmetric unit:
Eu: 0.219 0.000 0.053 x2
Eu: 0.256 0.984 0.564 x2
Ge: 0.236 0.528 0.805 x2
S: 0.010 0.262 0.261 x2
S: 0.031 0.263 0.750 x2
S: 0.420 0.579 0.085 x2
S: 0.431 0.569 0.624 x2

4.
Entry from Materials Project: a relaxed Mg2MnGa3 crystal (PBE).

## Properties
For the energy of formation, the calculation gives -0.164 eV/atom. Its density is 5.135 g/cm3. The total DFT energy (no corrections) is -3.739 eV per atom.

Cell: 5.440 8.659 8.588 Å, 90.00 90.00 90.00°
Space group Cmcm (No. 63)
Asymmetric unit:
Mg: 0.000 0.173 0.066 x8
Mn: 0.000 0.342 0.750 x4
Ga: 0.000 0.500 0.000 x4
Ga: 0.237 0.091 0.750 x8

5.
Entry from Materials Project: a relaxed BiRu5C18O18 crystal (PBE).

## Properties
For the energy of formation, the calculation gives -0.903 eV/atom. Its density is 2.426 g/cm3. The total DFT energy (no corrections) is -7.881 eV per atom.

Cell: 11.664 16.830 18.006 Å, 73.40 89.62 80.30°
Space group P-1 (No. 2)
Asymmetric unit:
Bi: 0.003 0.234 0.247 x2
Bi: 0.387 0.213 0.757 x2
Ru: 0.093 0.788 0.884 x2
Ru: 0.167 0.301 0.781 x2
Ru: 0.180 0.317 0.282 x2
Ru: 0.192 0.127 0.343 x2
Ru: 0.229 0.781 0.736 x2
Ru: 0.243 0.113 0.856 x2
Ru: 0.280 0.646 0.885 x2
Ru: 0.376 0.798 0.228 x2
Ru: 0.396 0.669 0.379 x2
-- stop --
In the wake of the death of George Floyd, a black man who was killed by a white police officer due to suspected forgery, it is important to understand the purpose of Black Lives Matter in this current situation. Think of it like this. If you fall off your bike and break your arm and scrape your leg, when you go to the doctor’s, the doctor will treat the broken arm first because it is the most dire issue to take care of; the scraped leg can wait until the broken arm is tended to. “All Lives Matter” is a privileged statement. You are turning a blind eye to a problem that doesn’t affect you directly. Yes, all lives do matter. But right now we need to prioritize Black Lives Matter because they are actively being oppressed.
After protests in Minneapolis, Minnesota turned into riots, President Trump tweeted on Twitter:

Yet after white protesters went out and protested their “right” to get a haircut and not wear a mask during this global pandemic, he tweeted:

It is clear to see where Mr. Trump’s priorities lie. He is giving the privilege of an option of a calm discussion to the white protesters. Not to the black ones. The protests in Minneapolis began peacefully, but after a while the police became involved; tossing tear gas and shooting rubber bullets into the crowd. They turned into riots because for so long, the black community has been oppressed and they wanted to make noise. They wanted to finally hurt their oppressors back. The difference here is that white people are protesting so they can get their lives back to normal. You know who else wants their lives back? The people who were killed by the police. The black people are protesting for their lives. They are protesting to survive. For their right to live.
White privilege is applying for a job and not fearing that you won’t get it just because of the color of your skin. White privilege is going for a jog and not worrying about whether or not you will get shot. White privilege is being able to walk out of a convenience store and not worrying about your life ending. White privilege is benefitting from the system that was designed in your favor because it was designed by those like you. White privilege is having the choice to get involved in a situation or stay in the background. White privilege, however, is also choosing to get involved and stand up for your fellow humans who may be a different color than you and not worrying about your own life.
You cannot ignore something just because you are uncomfortable with it, especially when it regards the life of another human being at risk. You may feel like it’s not your place to be involved in a Black Lives Matter movement, but I assure you, the support you give to them would mean everything.
If you are white and are looking for a way to support the black community, here are some things you can do. Donate to organizers of protests, repost things on Instagram, make art, protest, sign petitions. In your daily lives, recognize your privilege! Use it to protect people of color. Call out racism among your friends and family. Help to change the mindsets of the people around you, and that will help change your mindset as well. Recognize any biases you may have. Spot and fight injustice. Injustice anywhere is a threat to justice everywhere. Educate yourself about these issues. In general, just make noise. Do not be silent. Speak the names of the victims. Say their names because they can’t breathe.
If you remain silent, you have chosen the side of the oppressor. Be an ally. Use your privilege for change. Act up. It’s about time.

Jess is a sophomore at NAI. This is her first year as an official member of the NAEye staff, though she had published things last year. Jess's passions...
Ana G • Jun 1, 2020 at 8:56 pm
Well said! The people that chose to ignore the issue do so because they have the privilege to do so. People of color do not have that same privilege. Black people in America have to worry about their own safety.. their own survival every single day. Until the day comes that that is not the case, everyone should be doing what they can to speak out against injustice.
Rkushon • May 30, 2020 at 5:35 pm
You really gonna try to justify burning innocent people’s business down?